Activity:
Next, set down every line further below that contains the word "dataset".
Material:
-- begin --
No. 1
! Ca2MgTl, optimized geometry, DFT r2SCAN; values from VASP
! ρ = 4.4 g cm⁻³
! energy of formation = -7.51 kcal/mol of atoms
! size of the total moment = 0.0 μB/f.u.
&SYSTEM
  ibrav = 0, nat = 4, ntyp = 3
/
ATOMIC_SPECIES
Ca 40.08 Ca.upf
Mg 24.30 Mg.upf
Tl 204.38 Tl.upf
CELL_PARAMETERS angstrom
4.755 -2.424 -1.231
3.200 -1.941 3.999
0.572 -5.406 0.669
ATOMIC_POSITIONS crystal
Ca 0.500 0.500 0.500
Ca 0.000 0.000 0.000
Mg 0.250 0.250 0.250
Tl 0.750 0.750 0.750



No. 2
! K2PtCl4, optimized geometry, DFT r2SCAN; values from VASP
! ρ = 3.4 g cm⁻³
! energy of formation = -34.76 kcal/mol of atoms
! size of the total moment = 0.0 μB/f.u.
&SYSTEM
  ibrav = 0, nat = 7, ntyp = 3
/
ATOMIC_SPECIES
K 39.10 K.upf
Pt 195.08 Pt.upf
Cl 35.45 Cl.upf
CELL_PARAMETERS angstrom
-0.079 3.795 1.668
2.430 -2.605 6.043
6.579 1.092 -2.174
ATOMIC_POSITIONS crystal
K 0.500 0.000 0.500
K 0.500 0.500 0.000
Pt 0.000 0.000 0.000
Cl 0.000 0.233 0.767
Cl 0.000 0.233 0.233
Cl 0.000 0.767 0.767
Cl 0.000 0.767 0.233



No. 3
! BaSi2O5, optimized geometry, DFT r2SCAN; values from VASP
! ρ = 3.7 g cm⁻³
! energy of formation = -73.08 kcal/mol of atoms
! size of the total moment = 0.0 μB/f.u.
&SYSTEM
  ibrav = 0, nat = 32, ntyp = 3
/
ATOMIC_SPECIES
Ba 137.33 Ba.upf
Si 28.09 Si.upf
O 16.00 O.upf
CELL_PARAMETERS angstrom
4.640 0.000 0.000
0.000 7.708 0.000
0.000 0.000 13.618
ATOMIC_POSITIONS crystal
Ba 0.279 0.750 0.044
Ba 0.779 0.250 0.456
Ba 0.721 0.250 0.956
Ba 0.221 0.750 0.544
Si 0.640 0.048 0.684
Si 0.140 0.952 0.816
Si 0.360 0.548 0.316
Si 0.860 0.452 0.184
Si 0.360 0.952 0.316
Si 0.860 0.048 0.184
Si 0.640 0.452 0.684
Si 0.140 0.548 0.816
O 0.849 0.053 0.781
O 0.349 0.947 0.719
O 0.151 0.553 0.219
O 0.651 0.447 0.281
O 0.151 0.947 0.219
O 0.651 0.053 0.281
O 0.849 0.447 0.781
O 0.349 0.553 0.719
O 0.762 0.962 0.587
O 0.262 0.038 0.913
O 0.238 0.462 0.413
O 0.738 0.538 0.087
O 0.048 0.750 0.838
O 0.548 0.250 0.662
O 0.952 0.250 0.162
O 0.452 0.750 0.338
O 0.262 0.462 0.913
O 0.762 0.538 0.587
O 0.738 0.962 0.087
O 0.238 0.038 0.413



No. 4
! Sn, optimized geometry, DFT r2SCAN; values from VASP
! ρ = 7.2 g cm⁻³
! energy of formation = 5.74 kcal/mol of atoms
! size of the total moment = 0.0 μB/f.u.
! energy above the most stable polymorph in this dataset = 0.249 eV/atom
&SYSTEM
  ibrav = 0, nat = 1, ntyp = 1
/
ATOMIC_SPECIES
Sn 118.71 Sn.upf
CELL_PARAMETERS angstrom
0.333 -0.651 -3.199
-0.856 -2.740 1.591
-2.325 2.278 0.416
ATOMIC_POSITIONS crystal
Sn 0.000 0.000 0.000



No. 5
! CeB2Ir2C, optimized geometry, DFT r2SCAN; values from VASP
! ρ = 12.1 g cm⁻³
! energy of formation = -16.01 kcal/mol of atoms
! size of the total moment = 0.3 μB/f.u.
&SYSTEM
  ibrav = 0, nat = 6, ntyp = 4
/
ATOMIC_SPECIES
Ce 140.12 Ce.upf
B 10.81 B.upf
Ir 192.22 Ir.upf
C 12.01 C.upf
CELL_PARAMETERS angstrom
-1.924 1.924 5.175
1.924 -1.924 5.175
1.924 1.924 -5.175
ATOMIC_POSITIONS crystal
Ce 0.500 0.500 0.000
B 0.146 0.146 0.000
B 0.854 0.854 0.000
Ir 0.250 0.750 0.500
Ir 0.750 0.250 0.500
C 0.000 0.000 0.000



No. 6
! Sm2Te4O11, optimized geometry, DFT r2SCAN; values from VASP
! ρ = 6.4 g cm⁻³
! energy of formation = -46.53 kcal/mol of atoms
! size of the total moment = 0.0 μB/f.u.
&SYSTEM
  ibrav = 0, nat = 34, ntyp = 3
/
ATOMIC_SPECIES
Sm 150.36 Sm.upf
Te 127.60 Te.upf
O 16.00 O.upf
CELL_PARAMETERS angstrom
-2.803 -5.114 3.468
0.899 -6.722 0.199
10.057 -2.365 12.555
ATOMIC_POSITIONS crystal
Sm 0.128 0.635 0.037
Sm 0.365 0.872 0.463
Sm 0.872 0.365 0.963
Sm 0.635 0.128 0.537
Te 0.910 0.349 0.627
Te 0.651 0.090 0.873
Te 0.090 0.651 0.373
Te 0.349 0.910 0.127
Te 0.102 0.657 0.700
Te 0.343 0.898 0.800
Te 0.898 0.343 0.300
Te 0.657 0.102 0.200
O 0.349 0.651 0.750
O 0.651 0.349 0.250
O 0.689 0.455 0.546
O 0.545 0.311 0.954
O 0.311 0.545 0.454
O 0.455 0.689 0.046
O 0.700 0.593 0.830
O 0.407 0.300 0.670
O 0.300 0.407 0.170
O 0.593 0.700 0.330
O 0.819 0.685 0.628
O 0.315 0.181 0.872
O 0.886 0.064 0.099
O 0.936 0.114 0.401
O 0.114 0.936 0.901
O 0.064 0.886 0.599
O 0.751 0.833 0.444
-- stop --
Done:
! energy above the most stable polymorph in this dataset = 0.249 eV/atom